Please repeat the entries further below character by character.
'''
(1)
First-principles (PBEsol) data for a geometry-optimized LiB3Os structure, as listed in the Alexandria database.

energy relative to the elements	0.5255	eV per atom
D(E_F)	0.01	states/eV per atom

Cell: 4.071 4.071 4.071 Å, 90.00 90.00 90.00°
Atoms (fractional coordinates):
1 Li 0.000 0.000 0.000
2 B 0.000 0.500 0.500
3 B 0.500 0.000 0.500
4 B 0.500 0.500 0.000
5 Os 0.500 0.500 0.500

=====

(2)
First-principles (PBEsol) data for a geometry-optimized U2Cl5O2 structure, as listed in the Alexandria database.

formation energy from raw total energies	-2.1221	eV per atom
D(E_F)	1.81	states/eV per atom

Cell: 7.981 7.981 4.096 Å, 90.00 90.00 117.32°
Atoms (fractional coordinates):
1 U 0.199 0.801 0.000
2 U 0.801 0.199 0.000
3 Cl 0.000 0.000 0.000
4 Cl 0.172 0.450 0.000
5 Cl 0.450 0.172 0.000
6 Cl 0.550 0.828 0.000
7 Cl 0.828 0.550 0.000
8 O 0.199 0.801 0.500
9 O 0.801 0.199 0.500

=====

(3)
First-principles (PBEsol) data for a geometry-optimized Al2GeC structure, as listed in the Alexandria database.

energy relative to the elements	1.0574	eV per atom
D(E_F)	0.52	states/eV per atom

Cell: 4.272 4.272 4.272 Å, 60.00 60.00 60.00°
Atoms (fractional coordinates):
1 Al 0.250 0.250 0.250
2 Al 0.750 0.750 0.750
3 Ge 0.000 0.000 0.000
4 C 0.500 0.500 0.500

=====

(4)
First-principles (PBEsol) data for a geometry-optimized Te2PBr structure, as listed in the Alexandria database.

formation energy from raw total energies	0.0836	eV per atom
relative energy among the computed polymorphs	0	meV/atom
D(E_F)	0.44	states/eV per atom

Cell: 5.566 3.789 5.674 Å, 90.00 106.52 90.00°
Atoms (fractional coordinates):
1 Te 0.000 0.000 0.000
2 Te 0.472 0.500 0.216
3 P 0.648 0.500 0.870
4 Br 0.042 0.000 0.511

=====

(5)
First-principles (PBEsol) data for a geometry-optimized SrTeMo2 structure, as listed in the Alexandria database.

formation energy from raw total energies	0.8965	eV per atom
D(E_F)	0.84	states/eV per atom

Cell: 9.547 9.547 9.547 Å, 19.44 19.44 19.44°
Atoms (fractional coordinates):
1 Sr 0.000 0.000 0.000
2 Te 0.500 0.500 0.500
3 Mo 0.237 0.237 0.237
4 Mo 0.763 0.763 0.763

=====

(6)
First-principles (PBEsol) data for a geometry-optimized La2YRu structure, as listed in the Alexandria database.

energy relative to the elements	-0.0655	eV per atom
relative energy among the computed polymorphs	0	meV/atom
D(E_F)	1.20	states/eV per atom

Cell: 6.220 6.220 5.659 Å, 115.68 115.68 34.55°
Atoms (fractional coordinates):
1 La 0.000 0.000 0.000
2 La 0.194 0.194 0.691
3 Y 0.810 0.810 0.307
4 Ru 0.505 0.505 0.437

=====

(7)
First-principles (PBEsol) data for a geometry-optimized KMg2Nb structure, as listed in the Alexandria database.

energy relative to the elements	1.1372	eV per atom
relative energy among the computed polymorphs	202	meV/atom
D(E_F)	0.83	states/eV per atom

Cell: 6.764 6.764 6.764 Å, 103.67 103.67 121.82°
Atoms (fractional coordinates):
1 K 0.000 0.000 0.000
2 K 0.750 0.250 0.500
3 Mg 0.160 0.125 0.535
4 Mg 0.375 0.840 0.965
5 Mg 0.590 0.625 0.465
6 Mg 0.875 0.410 0.035
7 Nb 0.250 0.750 0.500
8 Nb 0.500 0.500 0.000

=====

(8)
First-principles (PBEsol) data for a geometry-optimized HfC3S structure, as listed in the Alexandria database.

formation energy from raw total energies	2.5697	eV per atom
D(E_F)	0.65	states/eV per atom

Cell: 4.284 4.284 4.284 Å, 90.00 90.00 90.00°
Atoms (fractional coordinates):
1 Hf 0.000 0.000 0.000
2 C 0.000 0.000 0.500
3 C 0.000 0.500 0.000
4 C 0.500 0.000 0.000
5 S 0.500 0.500 0.500

=====

(9)
First-principles (PBEsol) data for a geometry-optimized TlCd2Au2 structure, as listed in the Alexandria database.

energy relative to the elements	-0.0395	eV per atom
relative energy among the computed polymorphs	70	meV/atom
D(E_F)	0.38	states/eV per atom

Cell: 7.216 7.216 7.216 Å, 147.34 147.34 46.87°
Atoms (fractional coordinates):
1 Tl 0.000 0.000 0.000
2 Cd 0.250 0.750 0.500
3 Cd 0.750 0.250 0.500
4 Au 0.399 0.399 0.000
5 Au 0.601 0.601 0.000

=====

(10)
'''
(1)
First-principles (PBEsol) data for a geometry-optimized LiB3Os structure, as listed in the Alexandria database.

energy relative to the elements	0.5255	eV per atom
D(E_F)	0.01	states/eV per atom

Cell: 4.071 4.071 4.071 Å, 90.00 90.00 90.00°
Atoms (fractional coordinates):
1 Li 0.000 0.000 0.000
2 B 0.000 0.500 0.500
3 B 0.500 0.000 0.500
4 B 0.500 0.500 0.000
5 Os 0.500 0.500 0.500

=====

(2)
First-principles (PBEsol) data for a geometry-optimized U2Cl5O2 structure, as listed in the Alexandria database.

formation energy from raw total energies	-2.1221	eV per atom
D(E_F)	1.81	states/eV per atom

Cell: 7.981 7.981 4.096 Å, 90.00 90.00 117.32°
Atoms (fractional coordinates):
1 U 0.199 0.801 0.000
2 U 0.801 0.199 0.000
3 Cl 0.000 0.000 0.000
4 Cl 0.172 0.450 0.000
5 Cl 0.450 0.172 0.000
6 Cl 0.550 0.828 0.000
7 Cl 0.828 0.550 0.000
8 O 0.199 0.801 0.500
9 O 0.801 0.199 0.500

=====

(3)
First-principles (PBEsol) data for a geometry-optimized Al2GeC structure, as listed in the Alexandria database.

energy relative to the elements	1.0574	eV per atom
D(E_F)	0.52	states/eV per atom

Cell: 4.272 4.272 4.272 Å, 60.00 60.00 60.00°
Atoms (fractional coordinates):
1 Al 0.250 0.250 0.250
2 Al 0.750 0.750 0.750
3 Ge 0.000 0.000 0.000
4 C 0.500 0.500 0.500

=====

(4)
First-principles (PBEsol) data for a geometry-optimized Te2PBr structure, as listed in the Alexandria database.

formation energy from raw total energies	0.0836	eV per atom
relative energy among the computed polymorphs	0	meV/atom
D(E_F)	0.44	states/eV per atom

Cell: 5.566 3.789 5.674 Å, 90.00 106.52 90.00°
Atoms (fractional coordinates):
1 Te 0.000 0.000 0.000
2 Te 0.472 0.500 0.216
3 P 0.648 0.500 0.870
4 Br 0.042 0.000 0.511

=====

(5)
First-principles (PBEsol) data for a geometry-optimized SrTeMo2 structure, as listed in the Alexandria database.

formation energy from raw total energies	0.8965	eV per atom
D(E_F)	0.84	states/eV per atom

Cell: 9.547 9.547 9.547 Å, 19.44 19.44 19.44°
Atoms (fractional coordinates):
1 Sr 0.000 0.000 0.000
2 Te 0.500 0.500 0.500
3 Mo 0.237 0.237 0.237
4 Mo 0.763 0.763 0.763

=====

(6)
First-principles (PBEsol) data for a geometry-optimized La2YRu structure, as listed in the Alexandria database.

energy relative to the elements	-0.0655	eV per atom
relative energy among the computed polymorphs	0	meV/atom
D(E_F)	1.20	states/eV per atom

Cell: 6.220 6.220 5.659 Å, 115.68 115.68 34.55°
Atoms (fractional coordinates):
1 La 0.000 0.000 0.000
2 La 0.194 0.194 0.691
3 Y 0.810 0.810 0.307
4 Ru 0.505 0.505 0.437

=====

(7)
First-principles (PBEsol) data for a geometry-optimized KMg2Nb structure, as listed in the Alexandria database.

energy relative to the elements	1.1372	eV per atom
relative energy among the computed polymorphs	202	meV/atom
D(E_F)	0.83	states/eV per atom

Cell: 6.764 6.764 6.764 Å, 103.67 103.67 121.82°
Atoms (fractional coordinates):
1 K 0.000 0.000 0.000
2 K 0.750 0.250 0.500
3 Mg 0.160 0.125 0.535
4 Mg 0.375 0.840 0.965
5 Mg 0.590 0.625 0.465
6 Mg 0.875 0.410 0.035
7 Nb 0.250 0.750 0.500
8 Nb 0.500 0.500 0.000

=====

(8)
First-principles (PBEsol) data for a geometry-optimized HfC3S structure, as listed in the Alexandria database.

formation energy from raw total energies	2.5697	eV per atom
D(E_F)	0.65	states/eV per atom

Cell: 4.284 4.284 4.284 Å, 90.00 90.00 90.00°
Atoms (fractional coordinates):
1 Hf 0.000 0.000 0.000
2 C 0.000 0.000 0.500
3 C 0.000 0.500 0.000
4 C 0.500 0.000 0.000
5 S 0.500 0.500 0.500

=====

(9)
First-principles (PBEsol) data for a geometry-optimized TlCd2Au2 structure, as listed in the Alexandria database.

energy relative to the elements	-0.0395	eV per atom
relative energy among the computed polymorphs	70	meV/atom
D(E_F)	0.38	states/eV per atom

Cell: 7.216 7.216 7.216 Å, 147.34 147.34 46.87°
Atoms (fractional coordinates):
1 Tl 0.000 0.000 0.000
2 Cd 0.250 0.750 0.500
3 Cd 0.750 0.250 0.500
4 Au 0.399 0.399 0.000
5 Au 0.601 0.601 0.000

=====

(10)